File =
........
Computed, not measured: a cluster of 15 separate species, C3H37N2O16 in total in a non-equilibrium geometry, with ωB97M-V/def2-TZVPD.

Calculated values
spin multiplicity	1
net charge	+1
calculated total energy	-39444.55659	eV

Last columns: bonded neighbours and bond lengths (Å).
Element x y z (Å)
1 N 0.85421 -2.02947 0.25008  C2 1.550, H8 1.118, H9 1.089, H10 1.027
2 C 0.79209 -0.68950 -0.52702  N1 1.550, C3 1.560, C5 1.519, H11 1.042
3 C -0.34084 0.10039 0.19761  C2 1.560, O4 1.390, H12 1.162, H13 1.063
4 O -0.01644 0.39167 1.51749  C3 1.390, H14 1.015
5 C 0.45738 -1.09117 -1.95320  C2 1.519, N6 1.375, O7 1.219
6 N 0.34838 -0.07405 -2.87221  C5 1.375, H15 0.992, H16 1.090
7 O 0.48115 -2.27361 -2.25035  C5 1.219
8 H 0.77257 -1.89255 1.35632  N1 1.118
9 H -0.04289 -2.59316 -0.00171  N1 1.089
10 H 1.68092 -2.56930 -0.03289  N1 1.027
11 H 1.69330 -0.19420 -0.36068  C2 1.042
12 H -0.67048 1.01480 -0.43851  C3 1.162
13 H -1.20513 -0.49788 0.35506  C3 1.063
14 H 0.21857 1.37907 1.52998  O4 1.015
15 H 0.09006 -0.22434 -3.81858  N6 0.992
16 H 0.43647 0.97442 -2.58897  N6 1.090
17 H -1.30402 2.25807 3.42097  O19 0.815
18 H -1.46136 3.62508 3.43275  O19 0.921
19 O -1.34187 2.88371 2.89999  H17 0.815, H18 0.921
20 H -0.32358 -4.65174 -0.41774  O22 0.875
21 H -1.55707 -3.85130 -0.10152  O22 1.003
22 O -0.61517 -4.06943 0.16616  H20 0.875, H21 1.003
23 H 5.07776 0.25354 -1.67701  O25 0.959
24 H 3.86466 0.80189 -2.46576  O25 0.898
25 O 4.23884 0.07010 -2.10302  H23 0.959, H24 0.898
26 H -3.16660 2.69626 -1.86432  O28 0.974
27 H -2.86114 2.02455 -0.55807  O28 0.992
28 O -2.72520 1.89396 -1.53232  H26 0.974, H27 0.992
29 H 1.76675 2.71381 1.02825  O31 0.954
30 H 0.76111 3.24569 2.15852  O31 0.922
31 O 0.87442 2.89350 1.31424  H29 0.954, H30 0.922
32 H -4.01856 -2.71951 0.67430  O34 0.981
33 H -2.87632 -1.69485 1.02265  O34 0.941
34 O -3.28536 -2.49929 1.28831  H32 0.981, H33 0.941
35 H 2.89084 1.79712 -1.07271  O37 0.965
36 H 3.92007 1.30363 0.00955  O37 0.907
37 O 3.06545 1.56023 -0.15346  H35 0.965, H36 0.907
38 H -2.41548 -0.24543 -1.31641  O40 1.030
39 H -3.72278 -0.79167 -0.86422  O40 0.990
40 O -2.81042 -1.14651 -1.01027  H38 1.030, H39 0.990
41 H -1.21242 2.58759 -1.59222  O43 1.001
42 H 0.27158 3.10222 -0.74711  O43 1.057
43 O -0.25972 2.89293 -1.63658  H41 1.001, H42 1.057
44 H 0.79305 -2.98495 3.75460  O46 0.964
45 H 1.18566 -4.23343 2.88883  O46 0.903
46 O 1.19813 -3.33302 2.95200  H44 0.964, H45 0.903
47 H 3.23170 -1.03762 -1.29380  O49 0.973
48 H 2.95216 -2.18295 -2.05348  O49 1.001
49 O 3.04866 -1.96925 -1.08065  H47 0.973, H48 1.001
50 H -1.03181 -3.05503 2.76150  O52 0.909
51 H -2.13062 -2.46373 3.52846  O52 0.854
52 O -1.28169 -2.52033 3.45307  H50 0.909, H51 0.854
53 H 1.96501 3.62527 -2.39526  O55 0.950
54 H 1.37675 2.38914 -2.20902  O55 1.006
55 O 2.28084 2.73411 -2.48327  H53 0.950, H54 1.006
56 H -2.77239 2.40269 1.65868  O58 1.010
57 H -3.69425 3.44933 0.93971  O58 0.968
58 O -3.44494 2.51454 0.91328  H56 1.010, H57 0.968

----------

The following is a DFT calculation (ωB97M-V with the def2-TZVPD basis set) of a structure of composition C27H46BrMnNOP2S.

Calculated values
* DFT total energy: -163040.522 eV
* 2S+1: 6
* F_max: 0.061 hartree/bohr
* LUMO (spin up / spin down): -7.16 / -9.06 eV
* total charge: +2
* gap between HOMO and LUMO (spin up / spin down): 5.748 / 4.074 eV
* E_HOMO (spin up / spin down): -0.47431 / -0.48264 hartree

Last column: Mulliken spin population.
Geometry (Å):
N (5.33385, -1.28057, -4.33732)  0.014
C (4.62947, -2.25927, -3.78560)  -0.006
C (3.22857, -2.27503, -3.81189)  0.014
C (2.54229, -1.19344, -4.39071)  -0.005
C (3.33132, -0.18777, -5.02640)  0.015
C (4.72482, -0.28250, -4.97795)  -0.006
C (1.10128, -1.05255, -4.24316)  0.064
Mn (-2.18623, 1.61391, -0.18496)  4.473
P (-2.61381, 0.81568, 3.25879)  0.593
C (0.48499, 0.15966, -4.40770)  -0.023
C (-0.82745, 0.49531, -3.96221)  0.042
C (-1.12740, 1.86751, -3.73778)  -0.053
C (-1.90294, 2.19886, -2.63910)  0.041
........

Assignment =
Next, retype only the lines further above with the word "C2" in them.

Solution =
1 N 0.85421 -2.02947 0.25008  C2 1.550, H8 1.118, H9 1.089, H10 1.027
3 C -0.34084 0.10039 0.19761  C2 1.560, O4 1.390, H12 1.162, H13 1.063
5 C 0.45738 -1.09117 -1.95320  C2 1.519, N6 1.375, O7 1.219
11 H 1.69330 -0.19420 -0.36068  C2 1.042